The pgf/tikz package allows you to draw pictures from within your LaTeX document to keep the style consistent throughout your document.
In l3draw we can do everything using an fp expression by expansion, so can easily create an 'extract the value' command. But more widely, there are two things. First, as we can use tuples throughout, I'm not sure point extraction is very useful - we don't need to access just-x...
print("You need to enter a pixel size! Please enter your command as this") print(" ".join(sys.argv), "-p some_micrometers") sys.exit(1) if options.Scalebarlength: # Set fullscale to False if user wants to define a length himself options.fullscale = False # Hey ho, let's go...
Once you have completed the set up of the document, you can start drawing. The most important command in TikZ is\draw[options]. This command is used todraw lines, arrows, circle, and any basic shape. Depending of the options provided to the draw command, you can get different types of ...
- - -
Structure and simulated powder diffraction line list of Si3Bi4O12 (the PBE geometry in the Materials Project; copper Kα).
Kinematic intensities with the Lorentz-polarization factor, no thermal factor.

Cell and atoms:
Cell: 10.429 10.429 10.429 Å, 90.00 90.00 90.00°
Space group I-43d (No. 220)
Symmetry-distinct sites (fractional):
1 Si 0.000 0.250 0.375 [12 per cell]
2 Bi 0.084 0.084 0.084 [16 per cell]
3 O 0.039 0.119 0.691 [48 per cell]

Principal peaks in the range 2θ from 10° to 90°, sorted by position:
- d 4.258, I 100
- d 3.298, I 100
- d 2.787, I 97
- d 2.129, I 54
- d 2.045, I 56
- d 1.789, I 19
- d 1.692, I 40
- d 1.609, I 23
- d 1.538, I 17
- d 1.475, I 22
- d 1.229, I 21
- d 1.212, I 17

----------

Starting from a PBE-relaxed structure, the PXRD pattern of NdHgGe was calculated for copper Kα.
Lines closer than 0.1° are merged.

Main lines, by intensity (10° ≤ 2θ ≤ 90°):
| 2θ (°) | intensity | h k l |
| --- | --- | --- |
| 30.78 | 100 | 1 1 1 |
| 33.33 | 50 | 1 5 0 |
| 38.30 | 36 | 0 6 1 |
| 42.25 | 28 | 2 0 0 |
| 63.08 | 25 | 2 0 2 |
| 56.78 | 22 | 1 5 2 |

Crystal structure
Lattice parameters (Å, degrees): 4.2783 17.2778 4.0660 90.00 90.00 90.00
Space group Cmcm (No. 63)
Unique sites:
Nd (0.0000, 0.0976, 0.2500) (multiplicity 4)
Hg (0.0000, 0.2854, 0.2500) (multiplicity 4)
Ge (0.0000, 0.4535, 0.2500) (multiplicity 4)

----------

Record 1
Mg2Cu: computed XRD peak list (a wavelength of 1.5418 Å), based on a DFT-relaxed cell (PBE, the Materials Project).
No peak broadening, texture or thermal motion is included.

The 6 most intense peaks (10° ≤ 2θ ≤ 90°), by angle:
- 2θ = 19.36°, intensity 100
- 2θ = 39.30°, intensity 34
- 2θ = 39.62°, intensity 68
- 2θ = 42.95°, intensity 37
- 2θ = 43.86°, intensity 36
- 2θ = 45.35°, intensity 29

Crystal structure
abc: 5.2894 5.2894 5.2894
angles: 107.10 101.34 120.62
Fractional coordinates of all 6 atoms:
Mg 0.1722 0.1613 0.3335
Mg 0.3278 0.6613 0.9890
Mg 0.6722 0.3387 0.0110
Mg 0.8278 0.8387 0.6665
Cu 0.2500 0.7500 0.5000
Cu 0.7500 0.2500 0.5000

Record 2
Mg3Cu: computed XRD peak list (a wavelength of 1.5418 Å), based on a DFT-relaxed cell (PBE, the Materials Project).
No peak broadening, texture or thermal motion is included.

The 6 most intense peaks (10° ≤ 2θ ≤ 90°), by angle:
- 2θ = 18.33°, intensity 17
- 2θ = 20.63°, intensity 35
- 2θ = 37.15°, intensity 23
- 2θ = 37.41°, intensity 28
- 2θ = 38.10°, intensity 100
- 2θ = 67.94°, intensity 16

Crystal structure
abc: 5.6471 5.6471 5.6471
angles: 146.30 62.00 129.61
Fractional coordinates of all 4 atoms:
Mg 0.0000 0.0000 0.0000
Mg 0.2846 0.5023 0.7823
Mg 0.7200 0.5023 0.2177
Cu 0.4984 0.9984 0.5000

Record 3
MgCu3: computed XRD peak list (a wavelength of 1.5418 Å), based on a DFT-relaxed cell (PBE, the Materials Project).
No peak broadening, texture or thermal motion is included.

The 6 most intense peaks (10° ≤ 2θ ≤ 90°), by angle:
- 2θ = 26.58°, intensity 12
- 2θ = 41.59°, intensity 100
- 2θ = 47.59°, intensity 17
- 2θ = 48.81°, intensity 31
- - -
**So much for the calculated crystals:**
l.DrawLatex(x, y, Form("%.3f", val*100)); } } }else{ tree->Draw(Form("%s:%s", value.Data(), par1.Data())); TH1 *histo = tree->GetHistogram();if(!histo)return; histo->SetTitle(Form("%s with different classifier parameters", value.Data())); ...
A straight path from one point to another can be drawn with the \draw command according to an X/Y (horizontal/vertical) coordinate system, like so: \begin{tikzpicture} \draw (5,0) -- (-5, 0); \end{tikzpicture} Multiple \draw calls can also be strung together. This draws a set...
command to toggle between the text or the editor. You can open multiple editors for the same file. This does not make much sense for SVG files though, as the diagram is stored in its metadata. Contributors Henning Dieterichs, hediet on Github (Main Contributor / Author) ...
Being the part of the KED technology, it comes with various other features in which the main one is installing the Umbrello as a standard application by deploying your tools or deploying its command-line tools to install it in a command-line package manager. ...
Easily create beautiful UML Diagrams from simple textual description. There are also numerous kind of available diagrams. It's also possible to export images in PNG, LaTeX, EPS, SVG.
The article discusses the use of the software commandline tool called drawtiming for the generation of digital circuit timing diagrams. Topics discussed include the significance of installing the drawtiming tool in the GNU General Public License (GPL)/Linux system, the utilization of the arrow notat...